== Assignment ==
Please print everything underneath word for word.
== Source ==
........
# PmHo2VN4 (PBE, optimized geometry)
# ΔE_f (raw) = -1380.3 meV per atom
# Crystal system = orthorhombic
# Density of states at the Fermi level = 12.73 states/eV per cell
data_PmHo2VN4
_chemical_formula_sum 'Pm4 Ho8 V4 N16'
_cell_length_a 3.371
_cell_length_b 11.670
_cell_length_c 11.714
_cell_angle_alpha 90.00
_cell_angle_beta 90.00
_cell_angle_gamma 90.00
_symmetry_space_group_name_H-M 'C m c m'
_symmetry_Int_Tables_number 63
_symmetry_space_group_name_Hall '-C 2c 2'
loop_
_atom_site_label
_atom_site_type_symbol
_atom_site_fract_x
_atom_site_fract_y
_atom_site_fract_z
Pm1 Pm 0.000 0.085 0.250
Ho1 Ho 0.000 0.370 0.042
V1 V 0.000 0.174 0.750
N1 N 0.000 0.000 0.000
N2 N 0.000 0.264 0.625
N3 N 0.000 0.424 0.250

=====

# NaCa2Pd2 (PBE, optimized geometry)
# DFT formation energy = -0.49 eV/atom
# Crystal system = tetragonal
# Density of states at the Fermi level = 5.28 states/eV per cell
data_NaCa2Pd2
_chemical_formula_sum 'Na2 Ca4 Pd4'
_cell_length_a 8.040
_cell_length_b 8.040
_cell_length_c 3.789
_cell_angle_alpha 90.00
_cell_angle_beta 90.00
_cell_angle_gamma 90.00
_symmetry_space_group_name_H-M 'P 4/m b m'
_symmetry_Int_Tables_number 127
_symmetry_space_group_name_Hall '-P 4 2ab'
loop_
_atom_site_label
_atom_site_type_symbol
_atom_site_fract_x
_atom_site_fract_y
_atom_site_fract_z
Na1 Na 0.000 0.000 0.000
Ca1 Ca 0.162 0.338 0.500
Pd1 Pd 0.129 0.629 0.000

=====

# PrSmRhAu (PBE, optimized geometry)
# DFT formation energy = -0.69 eV/atom
# Crystal system = cubic
# Density of states at the Fermi level = 16.67 states/eV per cell
data_PrSmRhAu
_chemical_formula_sum 'Pr4 Sm4 Rh4 Au4'
_cell_length_a 7.251
_cell_length_b 7.251
_cell_length_c 7.251
_cell_angle_alpha 90.00
_cell_angle_beta 90.00
_cell_angle_gamma 90.00
_symmetry_space_group_name_H-M 'F -4 3 m'
_symmetry_Int_Tables_number 216
_symmetry_space_group_name_Hall 'F -4 2 3'
loop_
_atom_site_label
_atom_site_type_symbol
_atom_site_fract_x
_atom_site_fract_y
_atom_site_fract_z
Pr1 Pr 0.000 0.000 0.000
Sm1 Sm 0.000 0.000 0.500
Rh1 Rh 0.250 0.250 0.250
Au1 Au 0.250 0.250 0.750

=====

# BaLa3Pt (PBE, optimized geometry)
# DFT formation energy = 0.39 eV/atom
# Crystal system = tetragonal
# Density of states at the Fermi level = 22.16 states/eV per cell
data_BaLa3Pt
_chemical_formula_sum 'Ba4 La12 Pt4'
_cell_length_a 5.882
_cell_length_b 5.882
_cell_length_c 26.517
_cell_angle_alpha 90.00
_cell_angle_beta 90.00
_cell_angle_gamma 90.00
_symmetry_space_group_name_H-M 'I -4 m 2'
_symmetry_Int_Tables_number 119
_symmetry_space_group_name_Hall 'I -4 -2'
loop_
_atom_site_label
_atom_site_type_symbol
_atom_site_fract_x
_atom_site_fract_y
_atom_site_fract_z
Ba1 Ba 0.000 0.000 0.000
Ba2 Ba 0.000 0.500 0.250
La1 La 0.000 0.000 0.289
La2 La 0.000 0.237 0.142
Pt1 Pt 0.000 0.500 0.696

=====

# Cr2CdW (PBE, optimized geometry)
# DFT formation energy = 0.52 eV/atom
# Crystal system = tetragonal
# Density of states at the Fermi level = 3.24 states/eV per cell
data_Cr2CdW
_chemical_formula_sum 'Cr2 Cd1 W1'
_cell_length_a 4.374
_cell_length_b 4.374
_cell_length_c 3.205
_cell_angle_alpha 90.00
_cell_angle_beta 90.00
_cell_angle_gamma 90.00
_symmetry_space_group_name_H-M 'P 4/m m m'
_symmetry_Int_Tables_number 123
_symmetry_space_group_name_Hall '-P 4 2'
loop_
_atom_site_label
_atom_site_type_symbol
_atom_site_fract_x
_atom_site_fract_y
_atom_site_fract_z
Cr1 Cr 0.000 0.500 0.000
Cd1 Cd 0.000 0.000 0.500
W1 W 0.500 0.500 0.500

=====

# RbTl2AgBr8 (PBE, optimized geometry)
# ΔE_f (raw) = -642.5 meV per atom
# Crystal system = tetragonal
data_RbTl2AgBr8
_chemical_formula_sum 'Rb2 Tl4 Ag2 Br16'
_cell_length_a 6.917
_cell_length_b 6.917
_cell_length_c 18.938
_cell_angle_alpha 90.00
_cell_angle_beta 90.00
_cell_angle_gamma 90.00
_symmetry_space_group_name_H-M 'I -4'
_symmetry_Int_Tables_number 82
loop_
_symmetry_equiv_pos_as_xyz
'x,y,z'
'y,-x,-z'
'-x,-y,z'
'-y,x,-z'
'x+1/2,y+1/2,z+1/2'
'y+1/2,-x+1/2,-z+1/2'
'-x+1/2,-y+1/2,z+1/2'
'-y+1/2,x+1/2,-z+1/2'
loop_
_atom_site_label
_atom_site_type_symbol
........
== Response ==
# PmHo2VN4 (PBE, optimized geometry)
# ΔE_f (raw) = -1380.3 meV per atom
# Crystal system = orthorhombic
# Density of states at the Fermi level = 12.73 states/eV per cell
data_PmHo2VN4
_chemical_formula_sum 'Pm4 Ho8 V4 N16'
_cell_length_a 3.371
_cell_length_b 11.670
_cell_length_c 11.714
_cell_angle_alpha 90.00
_cell_angle_beta 90.00
_cell_angle_gamma 90.00
_symmetry_space_group_name_H-M 'C m c m'
_symmetry_Int_Tables_number 63
_symmetry_space_group_name_Hall '-C 2c 2'
loop_
_atom_site_label
_atom_site_type_symbol
_atom_site_fract_x
_atom_site_fract_y
_atom_site_fract_z
Pm1 Pm 0.000 0.085 0.250
Ho1 Ho 0.000 0.370 0.042
V1 V 0.000 0.174 0.750
N1 N 0.000 0.000 0.000
N2 N 0.000 0.264 0.625
N3 N 0.000 0.424 0.250

=====

# NaCa2Pd2 (PBE, optimized geometry)
# DFT formation energy = -0.49 eV/atom
# Crystal system = tetragonal
# Density of states at the Fermi level = 5.28 states/eV per cell
data_NaCa2Pd2
_chemical_formula_sum 'Na2 Ca4 Pd4'
_cell_length_a 8.040
_cell_length_b 8.040
_cell_length_c 3.789
_cell_angle_alpha 90.00
_cell_angle_beta 90.00
_cell_angle_gamma 90.00
_symmetry_space_group_name_H-M 'P 4/m b m'
_symmetry_Int_Tables_number 127
_symmetry_space_group_name_Hall '-P 4 2ab'
loop_
_atom_site_label
_atom_site_type_symbol
_atom_site_fract_x
_atom_site_fract_y
_atom_site_fract_z
Na1 Na 0.000 0.000 0.000
Ca1 Ca 0.162 0.338 0.500
Pd1 Pd 0.129 0.629 0.000

=====

# PrSmRhAu (PBE, optimized geometry)
# DFT formation energy = -0.69 eV/atom
# Crystal system = cubic
# Density of states at the Fermi level = 16.67 states/eV per cell
data_PrSmRhAu
_chemical_formula_sum 'Pr4 Sm4 Rh4 Au4'
_cell_length_a 7.251
_cell_length_b 7.251
_cell_length_c 7.251
_cell_angle_alpha 90.00
_cell_angle_beta 90.00
_cell_angle_gamma 90.00
_symmetry_space_group_name_H-M 'F -4 3 m'
_symmetry_Int_Tables_number 216
_symmetry_space_group_name_Hall 'F -4 2 3'
loop_
_atom_site_label
_atom_site_type_symbol
_atom_site_fract_x
_atom_site_fract_y
_atom_site_fract_z
Pr1 Pr 0.000 0.000 0.000
Sm1 Sm 0.000 0.000 0.500
Rh1 Rh 0.250 0.250 0.250
Au1 Au 0.250 0.250 0.750

=====

# BaLa3Pt (PBE, optimized geometry)
# DFT formation energy = 0.39 eV/atom
# Crystal system = tetragonal
# Density of states at the Fermi level = 22.16 states/eV per cell
data_BaLa3Pt
_chemical_formula_sum 'Ba4 La12 Pt4'
_cell_length_a 5.882
_cell_length_b 5.882
_cell_length_c 26.517
_cell_angle_alpha 90.00
_cell_angle_beta 90.00
_cell_angle_gamma 90.00
_symmetry_space_group_name_H-M 'I -4 m 2'
_symmetry_Int_Tables_number 119
_symmetry_space_group_name_Hall 'I -4 -2'
loop_
_atom_site_label
_atom_site_type_symbol
_atom_site_fract_x
_atom_site_fract_y
_atom_site_fract_z
Ba1 Ba 0.000 0.000 0.000
Ba2 Ba 0.000 0.500 0.250
La1 La 0.000 0.000 0.289
La2 La 0.000 0.237 0.142
Pt1 Pt 0.000 0.500 0.696

=====

# Cr2CdW (PBE, optimized geometry)
# DFT formation energy = 0.52 eV/atom
# Crystal system = tetragonal
# Density of states at the Fermi level = 3.24 states/eV per cell
data_Cr2CdW
_chemical_formula_sum 'Cr2 Cd1 W1'
_cell_length_a 4.374
_cell_length_b 4.374
_cell_length_c 3.205
_cell_angle_alpha 90.00
_cell_angle_beta 90.00
_cell_angle_gamma 90.00
_symmetry_space_group_name_H-M 'P 4/m m m'
_symmetry_Int_Tables_number 123
_symmetry_space_group_name_Hall '-P 4 2'
loop_
_atom_site_label
_atom_site_type_symbol
_atom_site_fract_x
_atom_site_fract_y
_atom_site_fract_z
Cr1 Cr 0.000 0.500 0.000
Cd1 Cd 0.000 0.000 0.500
W1 W 0.500 0.500 0.500

=====

# RbTl2AgBr8 (PBE, optimized geometry)
# ΔE_f (raw) = -642.5 meV per atom
# Crystal system = tetragonal
data_RbTl2AgBr8
_chemical_formula_sum 'Rb2 Tl4 Ag2 Br16'
_cell_length_a 6.917
_cell_length_b 6.917
_cell_length_c 18.938
_cell_angle_alpha 90.00
_cell_angle_beta 90.00
_cell_angle_gamma 90.00
_symmetry_space_group_name_H-M 'I -4'
_symmetry_Int_Tables_number 82
loop_
_symmetry_equiv_pos_as_xyz
'x,y,z'
'y,-x,-z'
'-x,-y,z'
'-y,x,-z'
'x+1/2,y+1/2,z+1/2'
'y+1/2,-x+1/2,-z+1/2'
'-x+1/2,-y+1/2,z+1/2'
'-y+1/2,x+1/2,-z+1/2'
loop_
_atom_site_label
_atom_site_type_symbol